Work order >
Next, give back only the lines further down with the word "geometry" in them.

Input >
/*
1.
The following is a quantum chemistry calculation of 5 unconnected molecules or ions with the total composition C15H35N5O5, from OMol25.

```
60
Properties=species:S:1:pos:R:3:forces:R:3:lowdin_charge:R:1
C -1.07768 -23.91351 0.48053 -0.01 -1.50 0.26 -0.058
N 0.24111 -23.87486 -0.11277 0.06 0.81 0.22 -0.195
C 1.25434 -24.82126 0.28784 -0.22 -0.70 -0.63 -0.048
C 0.46216 -23.00661 -1.11878 0.14 0.36 -0.68 -0.342
O 1.43508 -22.99032 -1.84605 0.39 -0.12 0.10 0.007
H -1.58693 -22.95805 0.50686 0.17 0.13 -0.21 0.054
H -1.02455 -24.34400 1.48556 0.21 0.40 0.11 0.088
H -1.67590 -24.66151 -0.05791 -0.29 0.33 -0.10 0.097
H 1.41572 -24.76566 1.36146 0.09 -0.11 0.05 0.087
H 0.96446 -25.83346 -0.02097 -0.19 -0.07 0.43 0.092
H 2.17408 -24.67403 -0.27342 -0.01 0.57 0.16 0.084
H -0.33508 -22.26725 -1.27316 -0.32 -0.10 0.23 0.117
C -0.63603 -19.87301 -3.54070 -0.04 0.03 0.05 -0.058
N -1.72307 -19.07774 -4.08347 -0.15 0.07 0.92 -0.184
C -2.93399 -19.04605 -3.25702 0.29 -0.01 -1.18 -0.036
C -1.58689 -18.27417 -5.14702 0.39 0.22 -0.30 -0.361
O -2.37466 -17.42797 -5.53317 0.09 -0.30 0.08 -0.002
H -0.86198 -20.93733 -3.60849 -0.03 -0.04 0.13 0.089
H -0.51103 -19.59249 -2.49313 0.02 -0.21 0.08 0.084
H 0.32604 -19.70105 -4.02100 -0.18 0.17 -0.32 0.085
H -2.77543 -18.57620 -2.28806 0.20 -0.09 0.11 0.082
H -3.65808 -18.46244 -3.82038 -0.18 -0.11 0.10 0.086
H -3.24120 -20.08398 -3.16631 -0.33 0.07 0.35 0.063
H -0.62609 -18.48571 -5.65867 -0.10 0.21 -0.08 0.132
C -6.87311 -24.17044 -3.40118 0.52 0.73 -0.29 -0.047
N -6.12126 -22.95294 -3.66374 -0.49 0.67 0.62 -0.194
C -5.87452 -22.12375 -2.50400 0.61 -0.30 0.86 -0.038
C -5.60333 -22.59680 -4.86147 -0.19 -0.52 0.02 -0.348
O -4.77405 -21.73332 -5.03150 -0.05 0.23 -0.14 0.026
H -7.80787 -23.95368 -2.88248 -0.07 0.10 -0.07 0.070
H -6.25250 -24.77321 -2.73537 -0.19 -0.46 -0.18 0.090
H -7.08301 -24.64571 -4.35688 0.03 -0.33 0.14 0.084
H -5.19854 -22.62640 -1.80271 0.02 -0.16 -0.14 0.071
H -5.36883 -21.19180 -2.73570 -0.23 0.02 -0.42 0.079
H -6.78209 -21.94438 -1.92356 -0.19 0.09 -0.29 0.085
H -6.04496 -23.19544 -5.67832 0.21 -0.05 -0.12 0.132
C -10.34203 -24.73829 1.37520 -0.57 0.49 -0.36 -0.051
N -9.80717 -23.51991 0.77607 0.29 -0.19 0.44 -0.196
C -10.37554 -23.05851 -0.46567 0.20 0.40 -0.87 -0.052
C -8.71889 -22.88319 1.26699 -0.21 -0.16 0.16 -0.349
O -8.13622 -21.96647 0.72131 0.02 -0.02 0.02 0.001
H -11.37541 -24.51153 1.64401 -0.12 -0.43 0.00 0.089
H -9.84070 -25.08815 2.27370 0.38 0.40 -0.03 0.084
H -10.30786 -25.54329 0.64169 -0.12 -0.09 0.01 0.089
H -9.81203 -23.41986 -1.33235 0.04 -0.13 0.06 0.080
H -11.41419 -23.33841 -0.63154 -0.01 -0.26 0.50 0.090
H -10.32207 -21.97206 -0.52215 0.06 0.00 0.18 0.092
H -8.43374 -23.26813 2.26335 0.13 -0.04 -0.12 0.134
C -3.88748 -20.24231 2.37961 -0.97 -0.66 0.68 -0.059
N -3.67961 -20.97264 1.15096 0.16 0.73 -0.52 -0.185
C -4.29392 -22.29223 0.97492 1.05 0.68 0.81 -0.019
C -2.87927 -20.48763 0.17960 0.41 -0.66 0.33 -0.330
O -2.60247 -21.09940 -0.83801 -0.01 0.22 -0.20 -0.025
H -4.92930 -19.91682 2.46698 0.00 0.05 -0.12 0.090
H -3.26587 -19.36777 2.54609 0.32 -0.10 -0.50 0.086
H -3.73573 -20.93303 3.21546 0.17 0.12 0.06 0.089
H -4.12417 -22.57831 -0.05474 -0.41 -0.04 -0.09 0.059
H -3.69194 -22.96030 1.59822 -0.43 -0.37 0.10 0.086
H -5.32712 -22.25116 1.30830 -0.14 -0.20 -0.28 0.084
H -2.39233 -19.53973 0.45249 -0.20 0.20 -0.12 0.140
```
Forces are in eV/Å.

## Properties
Gap between HOMO and LUMO (eV): 8.76
SMILES: CN(C)C=O.CN(C)C=O.CN(C)C=O.CN(C)C=O.CN(C)C=O
Energy relative to the best compared isomer or geometry (same formula, charge and spin) (kcal per mole): 61.9
Energy (eV): -33810.21738


2.
The following is a quantum chemistry calculation of a molecular structure, C7H13NO2S, from OMol25.

```
24
Properties=species:S:1:pos:R:3:forces:R:3:lowdin_charge:R:1
C -3.37220 0.39337 0.41341 -4.45 -0.35 3.60 -0.519
C 0.33531 0.05515 0.65161 2.18 -0.09 2.60 -0.364
C 0.67936 -1.35621 1.16300 -0.08 -0.49 1.43 -0.147
C -0.93056 -1.57384 -0.55975 1.19 2.60 1.98 -0.560
*/

Outcome >
Energy relative to the best compared isomer or geometry (same formula, charge and spin) (kcal per mole): 61.9